### File
~~~
{"formula": "C40H64CdN6O3S2SbSi3", "method": "the ωB97M-V functional and the def2-TZVPD basis", "orbital_gap_ha": 0.29343, "e_lumo_ev": -2.29, "total_charge": 1, "max_force_ha_per_bohr": 0.0432, "e_above_lowest_kj_mol": 186.1, "elements": ["Cd", "N", "C", "C", "C", "N", "H", "H", "H", "H", "H", "H", "H", "H", "H", "H", "C", "C", "N", "C", "C", "C", "C", "C", "C", "C", "C", "C", "N", "C", "H", "H", "H", "H", "H", "H", "H", "H", "C", "C", "C", "C", "C", "C", "C", "S", "O", "O", "N", "C", "C", "C", "C", "C", "N", "H", "H", "H", "H", "H", "H", "H", "H", "H", "H", "H", "O", "S", "C", "C", "C", "C", "H", "H", "H", "H", "H", "H", "H", "H", "C", "Si", "C", "C", "Sb", "Si", "C", "C", "C", "Si", "C", "C", "C", "H", "H", "H", "H", "H", "H", "H", "H", "H", "H", "H", "H", "H", "H", "H", "H", "H", "H", "H", "H", "H", "H", "H", "H", "H", "H", "H"], "coordinates": [[-0.143272, 0.507298, 0.116554], [-2.495342, 0.696900, -0.955828], [-3.684310, -0.098514, -0.676464], [-4.390116, 0.380248, 0.588077], [-3.633171, 0.079529, 1.875833], [-2.347619, 0.769219, 1.955880], [-2.771082, 1.672275, -1.027408], [-2.100839, 0.425816, -1.852459], [-3.367596, -1.137860, -0.562001], [-4.406979, -0.046109, -1.506452], [-5.363924, -0.110647, 0.651646], [-4.565929, 1.456191, 0.510379], [-3.432205, -0.991728, 1.930517], [-4.295188, 0.351516, 2.711695], [-1.948972, 0.610810, 2.877561], [-2.499982, 1.770826, 1.871085], [-1.184618, 5.176879, 0.446224], [-1.094652, 3.807705, 0.156599], [-0.410682, 2.952082, 0.879047], [0.273388, 3.415705, 1.938954], [0.232053, 4.773286, 2.331632], [-0.525917, 5.659992, 1.546923], [0.937106, 5.206259, 3.489424], [1.704056, 4.347431, 4.201869], [1.819238, 2.985504, 3.806532], [2.652555, 2.079310, 4.485027], [2.735775, 0.784739, 4.039850], [1.954226, 0.402296, 2.942655], [1.155730, 1.221235, 2.298256], [1.091467, 2.503116, 2.691177], [-1.756069, 5.828162, -0.195743], [-1.607191, 3.405308, -0.703773], [-0.564489, 6.706764, 1.813570], [0.843702, 6.239162, 3.785415], [2.249939, 4.673347, 5.074566], [3.217825, 2.413142, 5.343861], [3.364538, 0.064250, 4.539973], [1.979386, -0.614065, 2.578912], [-3.212792, 4.015085, -7.162904], [-2.198991, 3.783546, -6.085184], [-0.840110, 3.986365, -6.304789], [0.094271, 3.745882, -5.307520], [-0.331446, 3.301629, -4.069474], [-1.680209, 3.101992, -3.836872], [-2.607906, 3.342335, -4.829925], [0.769735, 2.889371, -2.692244], [2.116336, 2.647055, -3.169337], [0.639870, 3.938363, -1.709077], [0.120883, 1.547103, -2.051370], [0.343009, 0.396665, -2.711791], [0.806875, 0.305176, -4.041159], [1.121981, -0.924878, -4.561153], [0.947188, -2.063803, -3.776460], [0.406852, -1.893974, -2.521128], [0.087843, -0.716154, -2.001056], [-2.745953, 4.019893, -8.143753], [-3.710997, 4.974230, -7.016448], [-3.978488, 3.241108, -7.146140], [-0.509934, 4.321564, -7.277006], [1.150298, 3.881074, -5.491188], [-1.978493, 2.727880, -2.870179], [-3.658396, 3.172288, -4.643349], [0.941563, 1.201956, -4.616910], [1.498643, -1.006156, -5.569240], [1.222813, -3.041888, -4.135804], [0.213447, -2.739699, -1.876422], [2.183137, -0.154106, -0.105626], [2.692556, 0.784455, -1.165362], [4.034236, -0.173938, -1.992200], [5.260550, 0.712028, -1.933334], [5.290759, 1.256151, -0.510031], [3.909207, 1.837705, -0.274008], [3.712996, -0.396181, -3.006379], [4.152124, -1.095183, -1.423764], [5.133865, 1.538330, -2.634895], [6.172250, 0.169081, -2.187233], [6.068968, 2.007342, -0.381581], [5.477789, 0.443612, 0.195878], [3.796367, 2.828756, -0.707452], [3.603738, 1.853229, 0.769269], [2.470096, -3.809127, -0.724312], [1.946446, -3.541115, 1.096519], [1.839825, -5.283210, 1.896010], [3.412792, -2.652988, 1.957903], [-0.307234, -2.069185, 1.214298], [-2.077609, -3.889631, 0.304670], [-1.675334, -5.687264, 0.828493], [-2.152568, -3.899656, -1.612700], [-3.891666, -3.609030, 0.882543], [-0.900286, -2.427856, 3.804120], [-2.717133, -2.068998, 4.327124], [-0.629402, -4.218459, 4.411588], [0.162176, -1.315576, 4.956408], [3.455241, -4.264748, -0.772294], [2.516179, -2.863116, -1.253268], [1.786913, -4.461965, -1.258763], [2.774000, -5.813214, 1.736287], [1.046985, -5.884249, 1.469985], [1.674569, -5.236473, 2.964943], [4.328770, -3.221694, 1.821964], [3.261788, -2.538812, 3.027565], [3.572376, -1.671871, 1.523246], [-0.726890, -6.022062, 0.423757], [-2.444141, -6.356162, 0.452253], [-1.639563, -5.803332, 1.905932], [-1.304446, -4.427202, -2.037307], [-2.164871, -2.900097, -2.036708], [-3.048101, -4.412508, -1.950106], [-3.982180, -3.578187, 1.962507], [-4.504244, -4.438251, 0.540172], [-4.332656, -2.702450, 0.482461], [-3.446197, -2.512102, 3.659103], [-2.939097, -1.008823, 4.405668], [-2.894600, -2.506978, 5.305013], [-1.229905, -4.926408, 3.853748], [-0.914708, -4.297702, 5.455725], [0.404604, -4.527679, 4.335925], [0.092565, -0.261529, 4.701462], [1.208836, -1.598838, 4.927934], [-0.168608, -1.424122, 5.985172]], "forces_ev_per_a": [[-0.589, 0.816, 0.501], [0.305, 0.091, -0.236], [-0.428, 0.021, 0.052], [0.436, -0.340, -0.009], [-0.344, 0.068, -0.017], [0.149, 0.160, 0.162], [0.138, -0.047, -0.073], [-0.072, 0.156, 0.004], [-0.060, -0.001, -0.028], [0.171, -0.152, 0.085], [-0.020, 0.102, -0.015], [-0.130, 0.108, -0.007], [-0.101, -0.037, 0.035], [0.108, -0.200, -0.006], [0.056, 0.113, -0.028], [0.142, -0.024, 0.047], [0.056, 0.046, 0.251], [-0.219, 0.090, 0.181], [0.020, -0.319, -0.250], [-0.047, 0.628, 0.194], [-0.147, -0.469, -0.266], [-0.101, -0.258, -0.248], [0.321, -0.162, 0.351], [-0.214, 0.380, -0.151], [-0.151, -0.353, -0.352], [-0.067, -0.185, -0.203], [-0.053, 0.189, 0.084], [0.044, 0.012, -0.031], [-0.140, -0.140, -0.266], [0.318, 0.171, 0.569], [-0.046, 0.013, -0.075], [-0.024, 0.012, -0.058], [-0.028, 0.068, 0.005], [0.040, 0.153, 0.040], [0.030, 0.087, 0.076], [0.050, 0.031, 0.045], [0.053, -0.086, -0.023], [0.046, -0.079, -0.018], [-0.013, 0.063, -0.019], [0.088, -0.068, 0.052], [-0.091, -0.018, 0.047], [0.294, -0.010, 0.133], [0.300, -0.262, 0.389], [-0.144, -0.001, 0.139], [0.109, 0.026, 0.005], [-0.007, 0.258, 0.213], [-0.323, 0.467, -0.569], [-0.025, -0.068, -0.290], [-0.332, 1.378, 0.319], [-0.114, -0.846, -1.232], [-0.015, -0.171, -0.013], [-0.145, -0.080, 0.160], [0.022, -0.002, 0.019], [-0.028, -0.384, -0.080], [0.035, 0.520, -0.189], [-0.009, 0.027, -0.094], [-0.021, 0.036, -0.041], [-0.028, -0.015, -0.026], [0.073, 0.031, -0.081], [0.092, 0.031, -0.043], [-0.170, -0.037, 0.055], [-0.105, -0.029, 0.041], [0.067, -0.079, -0.179], [0.061, 0.000, -0.111], [-0.044, -0.121, -0.002], [0.036, -0.096, -0.027], [-0.738, -0.585, 0.809], [2.191, -0.328, 0.188], [-0.264, 0.449, -0.243], [0.174, 0.001, 0.123], [0.110, 0.012, -0.077], [-0.173, 0.071, -0.335], [-0.082, -0.089, -0.046], [-0.107, -0.002, 0.140], [0.130, 0.024, -0.074], [-0.056, 0.010, -0.066], [0.009, 0.018, 0.077], [0.051, -0.006, 0.002], [0.061, 0.155, 0.001], [-0.173, 0.008, 0.024], [-0.409, 0.315, 0.603], [0.767, -0.523, -0.034], [-0.258, 0.808, -0.253], [-0.737, -0.051, -0.293], [-0.265, -1.842, 0.904], [-0.626, -0.666, -0.372], [0.110, 0.826, -0.066], [0.251, 0.241, 0.726], [0.819, 0.221, -0.002], [-0.192, -0.175, 1.095], [0.555, 0.039, -0.576], [0.075, 0.591, -0.517], [-0.323, -0.311, -0.713], [0.188, -0.113, 0.197], [0.011, 0.168, -0.079], [-0.185, -0.129, -0.080], [0.270, 0.043, -0.138], [-0.152, -0.107, -0.082], [0.000, 0.040, 0.185], [0.045, -0.279, -0.103], [-0.080, 0.003, 0.220], [-0.001, 0.215, -0.114], [0.156, -0.038, -0.109], [-0.231, 0.010, -0.144], [0.030, -0.012, 0.196], [0.200, -0.089, -0.060], [-0.026, 0.176, -0.068], [-0.233, -0.136, 0.117], [0.006, 0.004, 0.205], [0.061, -0.249, -0.174], [-0.048, 0.169, -0.049], [-0.129, -0.048, -0.144], [-0.006, 0.186, -0.032], [0.215, -0.108, 0.225], [-0.138, -0.171, -0.134], [-0.123, 0.158, 0.222], [0.218, -0.047, -0.017], [-0.032, 0.136, -0.045], [0.241, -0.051, -0.062], [-0.220, -0.159, 0.145]], "lowdin_charge": [1.262, -0.036, -0.266, -0.183, -0.295, -0.041, 0.052, 0.047, 0.074, 0.120, 0.117, 0.113, 0.063, 0.118, 0.051, 0.062, -0.020, -0.169, 
~~~

### To do
Your job: repeat the whole of the data above word for word.

### Result
{"formula": "C40H64CdN6O3S2SbSi3", "method": "the ωB97M-V functional and the def2-TZVPD basis", "orbital_gap_ha": 0.29343, "e_lumo_ev": -2.29, "total_charge": 1, "max_force_ha_per_bohr": 0.0432, "e_above_lowest_kj_mol": 186.1, "elements": ["Cd", "N", "C", "C", "C", "N", "H", "H", "H", "H", "H", "H", "H", "H", "H", "H", "C", "C", "N", "C", "C", "C", "C", "C", "C", "C", "C", "C", "N", "C", "H", "H", "H", "H", "H", "H", "H", "H", "C", "C", "C", "C", "C", "C", "C", "S", "O", "O", "N", "C", "C", "C", "C", "C", "N", "H", "H", "H", "H", "H", "H", "H", "H", "H", "H", "H", "O", "S", "C", "C", "C", "C", "H", "H", "H", "H", "H", "H", "H", "H", "C", "Si", "C", "C", "Sb", "Si", "C", "C", "C", "Si", "C", "C", "C", "H", "H", "H", "H", "H", "H", "H", "H", "H", "H", "H", "H", "H", "H", "H", "H", "H", "H", "H", "H", "H", "H", "H", "H", "H", "H", "H"], "coordinates": [[-0.143272, 0.507298, 0.116554], [-2.495342, 0.696900, -0.955828], [-3.684310, -0.098514, -0.676464], [-4.390116, 0.380248, 0.588077], [-3.633171, 0.079529, 1.875833], [-2.347619, 0.769219, 1.955880], [-2.771082, 1.672275, -1.027408], [-2.100839, 0.425816, -1.852459], [-3.367596, -1.137860, -0.562001], [-4.406979, -0.046109, -1.506452], [-5.363924, -0.110647, 0.651646], [-4.565929, 1.456191, 0.510379], [-3.432205, -0.991728, 1.930517], [-4.295188, 0.351516, 2.711695], [-1.948972, 0.610810, 2.877561], [-2.499982, 1.770826, 1.871085], [-1.184618, 5.176879, 0.446224], [-1.094652, 3.807705, 0.156599], [-0.410682, 2.952082, 0.879047], [0.273388, 3.415705, 1.938954], [0.232053, 4.773286, 2.331632], [-0.525917, 5.659992, 1.546923], [0.937106, 5.206259, 3.489424], [1.704056, 4.347431, 4.201869], [1.819238, 2.985504, 3.806532], [2.652555, 2.079310, 4.485027], [2.735775, 0.784739, 4.039850], [1.954226, 0.402296, 2.942655], [1.155730, 1.221235, 2.298256], [1.091467, 2.503116, 2.691177], [-1.756069, 5.828162, -0.195743], [-1.607191, 3.405308, -0.703773], [-0.564489, 6.706764, 1.813570], [0.843702, 6.239162, 3.785415], [2.249939, 4.673347, 5.074566], [3.217825, 2.413142, 5.343861], [3.364538, 0.064250, 4.539973], [1.979386, -0.614065, 2.578912], [-3.212792, 4.015085, -7.162904], [-2.198991, 3.783546, -6.085184], [-0.840110, 3.986365, -6.304789], [0.094271, 3.745882, -5.307520], [-0.331446, 3.301629, -4.069474], [-1.680209, 3.101992, -3.836872], [-2.607906, 3.342335, -4.829925], [0.769735, 2.889371, -2.692244], [2.116336, 2.647055, -3.169337], [0.639870, 3.938363, -1.709077], [0.120883, 1.547103, -2.051370], [0.343009, 0.396665, -2.711791], [0.806875, 0.305176, -4.041159], [1.121981, -0.924878, -4.561153], [0.947188, -2.063803, -3.776460], [0.406852, -1.893974, -2.521128], [0.087843, -0.716154, -2.001056], [-2.745953, 4.019893, -8.143753], [-3.710997, 4.974230, -7.016448], [-3.978488, 3.241108, -7.146140], [-0.509934, 4.321564, -7.277006], [1.150298, 3.881074, -5.491188], [-1.978493, 2.727880, -2.870179], [-3.658396, 3.172288, -4.643349], [0.941563, 1.201956, -4.616910], [1.498643, -1.006156, -5.569240], [1.222813, -3.041888, -4.135804], [0.213447, -2.739699, -1.876422], [2.183137, -0.154106, -0.105626], [2.692556, 0.784455, -1.165362], [4.034236, -0.173938, -1.992200], [5.260550, 0.712028, -1.933334], [5.290759, 1.256151, -0.510031], [3.909207, 1.837705, -0.274008], [3.712996, -0.396181, -3.006379], [4.152124, -1.095183, -1.423764], [5.133865, 1.538330, -2.634895], [6.172250, 0.169081, -2.187233], [6.068968, 2.007342, -0.381581], [5.477789, 0.443612, 0.195878], [3.796367, 2.828756, -0.707452], [3.603738, 1.853229, 0.769269], [2.470096, -3.809127, -0.724312], [1.946446, -3.541115, 1.096519], [1.839825, -5.283210, 1.896010], [3.412792, -2.652988, 1.957903], [-0.307234, -2.069185, 1.214298], [-2.077609, -3.889631, 0.304670], [-1.675334, -5.687264, 0.828493], [-2.152568, -3.899656, -1.612700], [-3.891666, -3.609030, 0.882543], [-0.900286, -2.427856, 3.804120], [-2.717133, -2.068998, 4.327124], [-0.629402, -4.218459, 4.411588], [0.162176, -1.315576, 4.956408], [3.455241, -4.264748, -0.772294], [2.516179, -2.863116, -1.253268], [1.786913, -4.461965, -1.258763], [2.774000, -5.813214, 1.736287], [1.046985, -5.884249, 1.469985], [1.674569, -5.236473, 2.964943], [4.328770, -3.221694, 1.821964], [3.261788, -2.538812, 3.027565], [3.572376, -1.671871, 1.523246], [-0.726890, -6.022062, 0.423757], [-2.444141, -6.356162, 0.452253], [-1.639563, -5.803332, 1.905932], [-1.304446, -4.427202, -2.037307], [-2.164871, -2.900097, -2.036708], [-3.048101, -4.412508, -1.950106], [-3.982180, -3.578187, 1.962507], [-4.504244, -4.438251, 0.540172], [-4.332656, -2.702450, 0.482461], [-3.446197, -2.512102, 3.659103], [-2.939097, -1.008823, 4.405668], [-2.894600, -2.506978, 5.305013], [-1.229905, -4.926408, 3.853748], [-0.914708, -4.297702, 5.455725], [0.404604, -4.527679, 4.335925], [0.092565, -0.261529, 4.701462], [1.208836, -1.598838, 4.927934], [-0.168608, -1.424122, 5.985172]], "forces_ev_per_a": [[-0.589, 0.816, 0.501], [0.305, 0.091, -0.236], [-0.428, 0.021, 0.052], [0.436, -0.340, -0.009], [-0.344, 0.068, -0.017], [0.149, 0.160, 0.162], [0.138, -0.047, -0.073], [-0.072, 0.156, 0.004], [-0.060, -0.001, -0.028], [0.171, -0.152, 0.085], [-0.020, 0.102, -0.015], [-0.130, 0.108, -0.007], [-0.101, -0.037, 0.035], [0.108, -0.200, -0.006], [0.056, 0.113, -0.028], [0.142, -0.024, 0.047], [0.056, 0.046, 0.251], [-0.219, 0.090, 0.181], [0.020, -0.319, -0.250], [-0.047, 0.628, 0.194], [-0.147, -0.469, -0.266], [-0.101, -0.258, -0.248], [0.321, -0.162, 0.351], [-0.214, 0.380, -0.151], [-0.151, -0.353, -0.352], [-0.067, -0.185, -0.203], [-0.053, 0.189, 0.084], [0.044, 0.012, -0.031], [-0.140, -0.140, -0.266], [0.318, 0.171, 0.569], [-0.046, 0.013, -0.075], [-0.024, 0.012, -0.058], [-0.028, 0.068, 0.005], [0.040, 0.153, 0.040], [0.030, 0.087, 0.076], [0.050, 0.031, 0.045], [0.053, -0.086, -0.023], [0.046, -0.079, -0.018], [-0.013, 0.063, -0.019], [0.088, -0.068, 0.052], [-0.091, -0.018, 0.047], [0.294, -0.010, 0.133], [0.300, -0.262, 0.389], [-0.144, -0.001, 0.139], [0.109, 0.026, 0.005], [-0.007, 0.258, 0.213], [-0.323, 0.467, -0.569], [-0.025, -0.068, -0.290], [-0.332, 1.378, 0.319], [-0.114, -0.846, -1.232], [-0.015, -0.171, -0.013], [-0.145, -0.080, 0.160], [0.022, -0.002, 0.019], [-0.028, -0.384, -0.080], [0.035, 0.520, -0.189], [-0.009, 0.027, -0.094], [-0.021, 0.036, -0.041], [-0.028, -0.015, -0.026], [0.073, 0.031, -0.081], [0.092, 0.031, -0.043], [-0.170, -0.037, 0.055], [-0.105, -0.029, 0.041], [0.067, -0.079, -0.179], [0.061, 0.000, -0.111], [-0.044, -0.121, -0.002], [0.036, -0.096, -0.027], [-0.738, -0.585, 0.809], [2.191, -0.328, 0.188], [-0.264, 0.449, -0.243], [0.174, 0.001, 0.123], [0.110, 0.012, -0.077], [-0.173, 0.071, -0.335], [-0.082, -0.089, -0.046], [-0.107, -0.002, 0.140], [0.130, 0.024, -0.074], [-0.056, 0.010, -0.066], [0.009, 0.018, 0.077], [0.051, -0.006, 0.002], [0.061, 0.155, 0.001], [-0.173, 0.008, 0.024], [-0.409, 0.315, 0.603], [0.767, -0.523, -0.034], [-0.258, 0.808, -0.253], [-0.737, -0.051, -0.293], [-0.265, -1.842, 0.904], [-0.626, -0.666, -0.372], [0.110, 0.826, -0.066], [0.251, 0.241, 0.726], [0.819, 0.221, -0.002], [-0.192, -0.175, 1.095], [0.555, 0.039, -0.576], [0.075, 0.591, -0.517], [-0.323, -0.311, -0.713], [0.188, -0.113, 0.197], [0.011, 0.168, -0.079], [-0.185, -0.129, -0.080], [0.270, 0.043, -0.138], [-0.152, -0.107, -0.082], [0.000, 0.040, 0.185], [0.045, -0.279, -0.103], [-0.080, 0.003, 0.220], [-0.001, 0.215, -0.114], [0.156, -0.038, -0.109], [-0.231, 0.010, -0.144], [0.030, -0.012, 0.196], [0.200, -0.089, -0.060], [-0.026, 0.176, -0.068], [-0.233, -0.136, 0.117], [0.006, 0.004, 0.205], [0.061, -0.249, -0.174], [-0.048, 0.169, -0.049], [-0.129, -0.048, -0.144], [-0.006, 0.186, -0.032], [0.215, -0.108, 0.225], [-0.138, -0.171, -0.134], [-0.123, 0.158, 0.222], [0.218, -0.047, -0.017], [-0.032, 0.136, -0.045], [0.241, -0.051, -0.062], [-0.220, -0.159, 0.145]], "lowdin_charge": [1.262, -0.036, -0.266, -0.183, -0.295, -0.041, 0.052, 0.047, 0.074, 0.120, 0.117, 0.113, 0.063, 0.118, 0.051, 0.062, -0.020, -0.169, 